Kubernetes ingress routing- Asterisk (*) is not working in ingress Path rules - azure

We have various Asp.net core containers with REST APIs hosted in Azure Kubernetes Service. Each REST API service implements many HTTP methods with different routes but has common base route (based on controller name).
Requirements is to route the request to different service based starting route value, e.g. All requests starting with “/user” route user service or products APIs requests to product service.
We have added path as "/user/* ", "/product/* " in the path section of the kubernetes ingress.
Asterisk (*) is not working

-- begin --
Density functional theory data (PBE with a Hubbard U) for a geometry-optimized Cs2MnV2Br2O6 structure.

Cell and atoms, written as CIF:
```
data_Cs2MnV2Br2O6
_cell_length_a 5.760
_cell_length_b 17.984
_cell_length_c 6.023
_cell_angle_alpha 90.00
_cell_angle_beta 90.00
_cell_angle_gamma 90.00
_symmetry_space_group_name_H-M 'C m m 2'
_symmetry_Int_Tables_number 35
loop_
_symmetry_equiv_pos_as_xyz
'x,y,z'
'-x,-y,z'
'-x,y,z'
'x,-y,z'
'x+1/2,y+1/2,z'
'-x+1/2,-y+1/2,z'
'-x+1/2,y+1/2,z'
'x+1/2,-y+1/2,z'
loop_
_atom_site_label
_atom_site_fract_x
_atom_site_fract_y
_atom_site_fract_z
Cs1 0.000 0.134 0.000
Mn1 0.000 0.500 0.511
V1 0.000 0.300 0.512
Br1 0.000 0.000 0.527
Br2 0.000 0.500 0.079
O1 0.000 0.297 0.238
O2 0.000 0.390 0.604
O3 0.250 0.250 0.622
```
-- stop --
## So much for the calculated crystals

According to this you need to use regex.
path: /foo/.*


Hosting a separate app service as a website directory

Is it possible to include a separate Azure App Service as part of another App Service?
For example lets say that I have a website called www.mycompany.com hosted in its own Azure App Service. I have another Azure App Service that I want to make it accessible by going to a specific URL in the first App Service.
So in other words when a request comes to www.mycompany.com/eu/ I want the content of this endpoint (/eu) to be served from the other app service. Would a load balancer work? The reason I want to do this is because the /eu endpoint has grown too big and I would like to separate that from the main site and host it on a separate app service. I hope my question is clear.
Thanks in advance.
For this purpose you could use Application Gateway.
In a certain sense it resembles a load balancer (it is a L7 LB indeed) as you indicated, but the product provides many additional features.
The following image, extracted from the product documentation, explains how it works:
Basically, as outlined in the aforementioned docs, when describing how an Application Gateway accepts a request (note they mention WAF in the explanation, an optional security threat prevention system):
Before a client sends a request to an application gateway, it
resolves the domain name of the application gateway by using a Domain
Name System (DNS) server. Azure controls the DNS entry because all
application gateways are in the azure.com domain.
The Azure DNS returns the IP address to the client, which is the
frontend IP address of the application gateway.
The application gateway accepts incoming traffic on one or more
listeners. A listener is a logical entity that checks for
connection requests. It's configured with a frontend IP address,
protocol, and port number for connections from clients to the
application gateway.
If a web application firewall (WAF) is in use, the application
gateway checks the request headers and the body, if present,
against WAF rules. This action determines if the request is valid
request or a security threat. If the request is valid, it's routed
to the backend. If the request isn't valid and WAF is in Prevention
mode, it's blocked as a security threat. If it's in Detection mode,
the request is evaluated and logged, but still forwarded to the
backend server.
The routing to one backend or another can be based on URL Paths:
You can find an example of this configuration in this related Microsoft article.
In your use case, you will need to define two backends, one for every App Service, and define routing rules as appropriate.
As indicated before, your DNS should point to the Application Gateway: it will handle the routing to one or other App Service based on the route, /eu/* or /*, provided by the client.
The order of the routes is important: once a rule is matched, it will be the one processed.
Application Gateway is a regional service: Azure Front Door leverages a similar functionality (and much more) globally.
Please, consider review the associated costs of these services.
I am answering my own question to hopefully help others in the same situation. This was simply done using a reverse proxy. This article explains everything you need to set it up - https://ruslany.net/2014/05/using-azure-web-site-as-a-reverse-proxy/

## Next to the article, the page also holds materials data
1.
# YRe3O PBE-GGA optimized geometry
# Raw formation energy = 3.835 eV/atom
# Magnetic moment = 5.67 μB/cell
# N(E_F) = 8.75 states/eV per cell
# V = 118.1 Å³/cell
data_YRe3O
_cell_length_a 4.9064
_cell_length_b 4.9064
_cell_length_c 4.9064
_cell_angle_alpha 90.00
_cell_angle_beta 90.00
_cell_angle_gamma 90.00
_space_group_name_H-M_alt 'P 1'
_space_group_IT_number 1
loop_
_space_group_symop_operation_xyz
'x,y,z'
loop_
_atom_site_label
_atom_site_type_symbol
_atom_site_fract_x
_atom_site_fract_y
_atom_site_fract_z
_atom_site_occupancy
Y1 Y 0.0000 0.0000 0.0000 1
Re1 Re 0.0000 0.0000 0.5000 1
Re2 Re 0.0000 0.5000 0.0000 1
Re3 Re 0.5000 0.0000 0.0000 1
O1 O 0.5000 0.5000 0.5000 1

***

2.
# TaHg2Te PBE-GGA optimized geometry
# Raw formation energy = 0.401 eV/atom
# Magnetic moment = 0.00 μB/cell
# N(E_F) = 2.00 states/eV per cell
# V = 89.8 Å³/cell
data_TaHg2Te
_cell_length_a 3.0498
_cell_length_b 5.1632
_cell_length_c 5.7037
_cell_angle_alpha 90.00
_cell_angle_beta 90.90
_cell_angle_gamma 90.00
_space_group_name_H-M_alt 'P 1'
_space_group_IT_number 1
loop_
_space_group_symop_operation_xyz
'x,y,z'
loop_
_atom_site_label
_atom_site_type_symbol
_atom_site_fract_x
_atom_site_fract_y
_atom_site_fract_z
_atom_site_occupancy
Ta1 Ta 0.0000 0.0000 0.0000 1
Hg1 Hg 0.4834 0.0000 0.5081 1
Hg2 Hg 0.5076 0.5000 0.2346 1
Te1 Te 0.9868 0.5000 0.7663 1

***

3.
# MgZr4Zn5 PBE-GGA optimized geometry
# Magnetic moment = 0.00 μB/cell
# Energy of formation from the pure elements = -2.235 eV/f.u.
# N(E_F) = 5.40 states/eV per cell
# V = 185.2 Å³/cell
data_MgZr4Zn5
_cell_length_a 3.3223
_cell_length_b 3.3223
_cell_length_c 16.7782
_cell_angle_alpha 90.00
_cell_angle_beta 90.00
_cell_angle_gamma 90.00
_space_group_name_H-M_alt 'P 1'
_space_group_IT_number 1
loop_
_space_group_symop_operation_xyz
'x,y,z'
loop_
_atom_site_label
_atom_site_type_symbol
_atom_site_fract_x
_atom_site_fract_y
_atom_site_fract_z
_atom_site_occupancy
Mg1 Mg 0.0000 0.0000 0.0000 1
Zr1 Zr 0.0000 0.0000 0.1963 1
Zr2 Zr 0.0000 0.0000 0.3996 1
Zr3 Zr 0.0000 0.0000 0.6004 1
Zr4 Zr 0.0000 0.0000 0.8037 1
Zn1 Zn 0.5000 0.5000 0.0969 1
Zn2 Zn 0.5000 0.5000 0.2998 1
Zn3 Zn 0.5000 0.5000 0.5000 1
Zn4 Zn 0.5000 0.5000 0.7002 1
Zn5 Zn 0.5000 0.5000 0.9031 1

***

4.
# K4Ac3TmSe8 PBE-GGA optimized geometry
# Raw formation energy = -1.781 eV/atom
# Magnetic moment = 0.00 μB/cell
# N(E_F) = 0.00 states/eV per cell
# V = 537.4 Å³/cell
data_K4Ac3TmSe8
_cell_length_a 9.3002
_cell_length_b 9.3002
_cell_length_c 9.3002
_cell_angle_alpha 57.60
_cell_angle_beta 57.60
_cell_angle_gamma 57.60
_space_group_name_H-M_alt 'P 1'
_space_group_IT_number 1
loop_
_space_group_symop_operation_xyz
'x,y,z'
loop_
_atom_site_label
_atom_site_type_symbol
_atom_site_fract_x
_atom_site_fract_y
_atom_site_fract_z
_atom_site_occupancy
K1 K 0.0000 0.0000 0.0000 1
K2 K 0.0000 0.5000 0.5000 1
K3 K 0.5000 0.0000 0.5000 1
K4 K 0.5000 0.5000 0.0000 1
Ac1 Ac 0.0000 0.0000 0.5000 1
Ac2 Ac 0.0000 0.5000 0.0000 1
Ac3 Ac 0.5000 0.0000 0.0000 1

Enabling Communication between different webroles on Azure Cloud

We are trying to build a cloud service on Azure. We have 3 webrole instances running. What are the possible ways to proxy the requests that we get on a webrole to some other webrole.
For Example,
I have the following 2 web roles running: webrole0, webrole1.
I get a request on webrole0. Based on some parameters either webrole0 can serve the request or the request needs to be proxied to webrole1. How do I make this proxying of the request possible?
If you are looking for the path based routing you can go with Azure Application Gateway. If you want to route traffic to web roles based on the request parameters, you need to go with third party NVAs like F5 to check if that satisfies your routing needs.

Is it possible to use Azure Dev Spaces with API Management?

I have got a Azure AKS cluster running on Azure cloud. It is accessed by frontend and mobile via Azure API Management. My Front end app is outside of the AKS.
Is it possible to use Azure Dev Spaces in this setup to test my changes in the isolated environment?
I've created a new namespace in the AKS and created a separate deployment slot for testing environment on the forntend app, but I can't figure out how to create an isolated routing on Azure API management.
As a result I'd like to have an isolated environment which shares most of the containers on AKS, but uses my local machine to host one service which is under testing at the moment.
I assume you intend to use Dev Spaces routing through a space.s. prefix on your domain name. For this to work, you ultimately need a Host header that includes such a prefix as part of the request to the Dev Spaces ingress controller running in your AKS cluster.
It sounds like in your case, you are running your frontend as an Azure Web App and backend services in AKS. Therefore your frontend would need to include the necessary logic to do one of two things:
Allow the slot instance to customize the space name to use (e.g. it might call the AKS backend services using something like testing.s.default.myservice.azds.io)
Read the Host header from the frontend request and propagate it to the backend request.
In either case, you will probably need to configure Azure API Management to correctly propagate appropriate requests to the testing slot you have created. I don't know enough about how API Management configures routing rules to help on this part, but hopefully I've been able to shed some light on the Dev Spaces part.

Crystal structures, as found in the file >
- - -
*P*
Density functional theory data (PBE-GGA) for Tl2NiAu after structural relaxation.

abc: 4.1913 3.3176 6.6479
angles: 90.00 108.15 90.00
Space group Pm (No. 6)
Symmetry-distinct sites (fractional):
Tl  0.0000  0.0000  0.0000 (multiplicity 1)
Tl  0.2982  0.5000  0.5980 (multiplicity 1)
Ni  0.5127  0.5000  0.0261 (multiplicity 1)
Au  0.6806  0.0000  0.3593 (multiplicity 1)

Calculated values
* D(E_F): 2.65 states/eV/cell
* total magnetization: 0.0 μB per cell

*Q*
Density functional theory data (PBE-GGA) for Tl2NiAu after structural relaxation.

abc: 6.9639 6.9639 6.9639
angles: 90.00 90.00 90.00
Space group F-43m (No. 216)
Symmetry-distinct sites (fractional):
Tl  0.0000  0.0000  0.0000 (multiplicity 4)
Tl  0.2500  0.2500  0.2500 (multiplicity 4)
Ni  0.0000  0.0000  0.5000 (multiplicity 4)
Au  0.2500  0.2500  0.7500 (multiplicity 4)

Calculated values
* D(E_F): 5.81 states/eV/cell
* total magnetization: 0.0 μB per cell

*R*
Density functional theory data (PBE-GGA) for Tl2NiAu after structural relaxation.

abc: 4.5801 5.5879 6.5365
angles: 90.00 90.00 90.00
Space group Immm (No. 71)
Symmetry-distinct sites (fractional):
Tl  0.0000  0.0000  0.2381 (multiplicity 4)
Ni  0.0000  0.5000  0.5000 (multiplicity 2)
Au  0.0000  0.5000  0.0000 (multiplicity 2)

Calculated values
* D(E_F): 4.03 states/eV/cell
* total magnetization: 0.0 μB per cell

*P* takes first place; second place is 172 meV per atom up.

*P*
Density functional theory data (PBE-GGA) for Tl2NiAu after structural relaxation.

abc: 7.5042 6.3865 3.5330
angles: 90.00 98.92 90.00
Space group C2/m (No. 12)
Symmetry-distinct sites (fractional):
Tl  0.2500  0.2500  0.0000 (multiplicity 4)
Ni  0.0000  0.0000  0.5000 (multiplicity 2)
Au  0.0000  0.5000  0.5000 (multiplicity 2)

Calculated values
* D(E_F): 3.19 states/eV/cell
* total magnetization: 0.0 μB per cell

*Q*
Density functional theory data (PBE-GGA) for Tl2NiAu after structural relaxation.

abc: 3.3279 3.3279 7.8797
angles: 90.00 90.00 90.00
Space group P4mm (No. 99)
Symmetry-distinct sites (fractional):
Tl  0.0000  0.0000  0.0000 (multiplicity 1)
Tl  0.5000  0.5000  0.3575 (multiplicity 1)
Ni  0.5000  0.5000  0.7853 (multiplicity 1)
Au  0.0000  0.0000  0.6214 (multiplicity 1)

Calculated values
* D(E_F): 2.34 states/eV/cell
* total magnetization: 0.0 μB per cell

*Q* takes first place; second place is 147 meV per atom up.

*P*
Density functional theory data (PBE-GGA) for TlNiAu after structural relaxation.

abc: 6.1948 6.1948 6.1948
angles: 90.00 90.00 90.00
Space group F-43m (No. 216)
Symmetry-distinct sites (fractional):
Tl  0.0000  0.0000  0.0000 (multiplicity 4)
Ni  0.2500  0.2500  0.2500 (multiplicity 4)
Au  0.0000  0.0000  0.5000 (multiplicity 4)

Calculated values
* D(E_F): 5.87 states/eV/cell
* total magnetization: 0.0 μB per cell

*Q*
Density functional theory data (PBE-GGA) for TlNiAu after structural relaxation.

abc: 3.1349 3.1349 10.9371
angles: 90.00 90.00 90.00
Space group I4mm (No. 107)
- - -
Back to the text >

Application Gateway Url Routing to multiple App Services

I have several app services that I want to use application gateway to sit in front of and route traffic to using URL Routing. For example:
I would like to use the Application Gateway with a custom domain in front of it, and route the traffic like this:
test.app.com/api/something -> api1-app-service
test.app.com/api/different -> api2-app-service
test.app.com/ -> website1-app-service
I setup 3 different backend pools and a url routing rule that looks like this:
rule1 | /api/something* | backendPool1
rule2 | /api/different* | backendPool2
default rule | backendPool3
The problem I am having is that the direction here (https://blogs.msdn.microsoft.com/waws/2017/11/21/setting-up-application-gateway-with-an-app-service-that-uses-azure-active-directory-authentication/) says that the app service has to be setup with the custom domain that you are pointing to the application gateway (test.app.com in my example), but I can't configure test.app.com to go to multiple app services. I get an error that the hostname is already mapped to another app service (which is true, when trying to map to api2-app-service test.app.com is configured to api1-app-service). Is is possible to setup an application gateway in front of multiple app services?
It's possible to setup an application gateway in front of multiple app services.
If you want custom domains with your web app service, you could configure different custom domains in different App services. Probably, if you'd like to use the same custom domain, you could deploy multiple Applications in the same web app service with different virtual paths.
If you do not want custom domains in multiple App Services, you could use the default hostname *.azurewebsites.net. If so, the Application Gateway frontend will direct the client request to different backend pools based on the different routing rules. You could configure for the backend HTTP setting using -PickHostNameFromBackendAddress.
Ref: Hosting multiple sites in one Azure WebApp and create an application gateway with path-based routing rules.
After researching all day, I am fairly sure this isn't possible using just an Application Gateway and app services. I am going to containerize my app and then use the application gateway and see if that does what I want it to.

Multiple App services to use the same domain name

we have a scenario where we have multiple azure app services where we have our Web APIs deployed . however we need all the app services to use the same domain name (not sub domains) e.g
http://example.com/api1 on one app service and http://example.com/api2 on other app service.
we have looked at using application gateway but it seems that URL rewriting is not supported yet. is there a anyway to achieve this without using third party components?
Do you mean URL routing or rewriting (rewriting as in mod_rewrite)?
URL-based routing is fully supported in Azure Application Gateway.
